No-one’s obligated to read trash. I don’t read other tabloids in case they might have a point.
No-one’s obligated to read trash. I don’t read other tabloids in case they might have a point.
Because my files won’t be pulled because of license reasons. Also we’ve been watching plex for the past few hours without being affected by this issue.
I admire your willingness to engage and respond to vague BS. Keep on keepin on, dude. (also get some rest)
I feel for the people of Huntsville. It really sounds like they got fucked because their last name. But ultimately, you won’t attract talent from other places in the US if you tell them they’re going to be working in Alabama. This is just the consequence of their politicians and the folks to voted for them.
If say Bernie Sanders also broke the law but in his supporters’ minds was morally right, they wouldn’t abandon him.
To add to this, this literally happened in 1963 and is referenced as one of his biggest selling points.
In a climate thats already saturated with “streaming services” Why even create a “streaming service” if the intention seems to be just “NASA news”. It would in my opinion still be better to partner with one of these larger streaming services in order to push NASA to more people.
Huh, that’s actually a reasonable point of view - none of which could’ve been extrapolated from your original comment. Thanks for clarifying.
The ad-free, no-cost streaming service will include live coverage of future launches, documentaries and new original series that will be exclusively available on the platform.
Protip: it’s better to respond to the article rather than what you think the headline means.
I keep thinking about my MiL when I hear this song - “I don’t like him”. She was in the same circles as Bill back in the day - apparently he was not a nice guy to women. I turn the volume up when it’s on because the song’s damn good, but still…
Online services cost a lot of money. People don’t realize how much because VCs and corpos w/ deep pockets have been subsidizing most major services for a long time. Now that the free money period is more-or-less over, these services need to start paying the bills with their users - commence enshittification
There’s constructive criticism and then there’s
There’s a lot of people who just yell at you, people I’ve never seen, met, or talked to before. It’s weird. What did we do to them? Perhaps they just write it from a place of negativity and malice. It’s tiresome.
# Someone pasted calculated molecules at this point
~~~
This record from OMol25 describes C33H35N7O3STaTe as an isolated structure. The level of theory is wB97M-V/def2-TZVPD.

CARTESIAN COORDINATES (ANGSTROEM)
1 Ta -0.294993 0.405639 0.623451
2 C 5.235242 1.664742 4.121366
3 C 4.272659 0.983516 3.168302
4 N 2.893592 1.157067 3.652370
5 C 1.789014 0.780379 3.037691
6 S 1.946046 -0.049518 1.489099
7 N 0.618372 0.990212 3.590037
8 N -0.421248 0.531956 2.829802
9 C -1.478018 0.132459 3.465232
10 C -1.569946 0.025524 4.943043
11 C -2.642785 -0.137993 2.612667
12 C -3.862233 -0.522240 3.134962
13 C -4.969310 -0.597583 2.298444
14 C -4.819295 -0.244772 0.969388
15 C -3.563576 0.107013 0.511152
16 N -2.472256 0.130047 1.291268
17 H 6.255424 1.531943 3.767811
18 H 5.172203 1.233170 5.120813
19 H 5.038130 2.735120 4.182677
20 H 4.492326 -0.083640 3.098269
21 H 4.347235 1.415319 2.168861
22 H 2.765892 1.579066 4.563986
23 H -0.608325 0.214415 5.404466
24 H -1.919762 -0.971182 5.220526
25 H -2.295682 0.745520 5.329946
26 H -3.953787 -0.738730 4.189137
27 H -5.933276 -0.895278 2.689618
28 H -5.656748 -0.235712 0.286244
29 H -3.443249 0.402301 -0.518327
30 O 1.714662 3.277491 -1.372503
31 C 0.855095 2.771288 -0.742073
32 O 0.645147 1.416541 -0.682294
33 C -0.155548 3.444650 0.123864
34 C -0.281152 4.812354 0.167437
35 C -1.237071 5.355420 1.017908
36 C -2.007710 4.498099 1.788726
37 C -1.808939 3.133849 1.692679
38 N -0.900089 2.594399 0.865198
39 H 0.363710 5.420773 -0.452246
40 H -1.372714 6.426976 1.081553
41 H -2.758206 4.878044 2.467386
42 H -2.395182 2.454280 2.292520
43 N -0.180181 -1.691933 0.396536
44 C 0.117814 -2.803383 0.155225
45 N 0.436325 -4.001226 -0.105298
46 C 1.484474 -4.730570 0.671480
47 C 2.532817 -5.224279 -0.313942
48 O 1.928471 -5.994207 -1.326292
49 C 1.047684 -5.229073 -2.114806
50 C -0.122813 -4.739149 -1.276876
51 H 0.988542 -5.566265 1.164800
52 H 1.902795 -4.055785 1.416276
53 H 3.243271 -5.865603 0.204164
54 H 3.074091 -4.372866 -0.747530
55 H 0.679338 -5.873520 -2.911166
56 H 1.570026 -4.373016 -2.560719
57 H -0.699490 -5.574743 -0.880360
58 H -0.773343 -4.068936 -1.836441
59 Te -1.432458 -0.385664 -2.069582
60 C 0.252223 -1.227583 -3.007676
61 C 1.566945 -1.033169 -2.593523
62 C 2.598224 -1.591938 -3.336774
63 C 2.320866 -2.320501 -4.487123
64 C 1.007304 -2.508919 -4.894339
65 C -0.035115 -1.968752 -4.152504
66 C -1.479619 1.499161 -2.995339
67 C -2.690732 2.185720 -2.979343
68 C -2.765006 3.435101 -3.578401
69 C -1.644569 3.975020 -4.197626
70 C -0.447913 3.271016 -4.222945
71 C -0.355345 2.025046 -3.616883
72 H 1.809190 -0.430073 -1.729495
73 H 3.623717 -1.434508 -3.028850
74 H 3.131325 -2.734992 -5.071701
~~~
Coming from ffxiv, YoshiP knows what actual grievances are and what troll comments are. It’s not a “reality distortion field” to call jackasses, jackasses
With the “Xbox Extended Feature Support” option selected, you actually can map individual keys to paddles within steam. The problem is Steam Input/BigPicture has been incredibly unreliable for me within the past few months. I’m just glad I can make changes using the first-party software now.
Edit - saw your edit. Changed the post title to make it a little more clear
-- Records of molecules from another source follow --
____________
This record from OMol25 describes 2 unconnected molecules or ions with the total composition C7H12S at a distorted geometry. The level of theory is the ωB97M-V functional and the def2-TZVPD basis.

Structure (XYZ):
```
20
Properties=species:S:1:pos:R:3:forces:R:3
C 2.78752 -1.33744 -0.12000 3.0399 1.7654 -0.1791
C 1.51801 -1.43524 0.05293 -3.0803 3.4383 -0.3058
C -2.02821 0.52608 0.66307 2.2420 1.1352 1.9486
C -1.76216 -0.25303 -0.57649 -0.8703 1.0323 0.5578
C -0.54492 0.54325 1.27554 -1.7711 -0.7306 1.7217
C -0.54752 0.45536 -1.09735 0.5422 -1.5447 1.6327
C 0.37881 0.53201 0.11975 1.4952 -2.7793 -0.2018
S 1.59075 1.82142 -0.00390 -0.0031 -1.2510 -1.3383
H 3.49225 -2.16925 -0.20876 -0.3843 -0.0620 -0.1006
H 3.37356 -0.30105 -0.17369 -1.5632 -1.9513 0.3617
H 0.77729 -2.21164 -0.06440 0.2663 -0.2991 0.3806
H -2.22671 1.58399 0.50409 -0.8588 -0.0691 -0.2104
H -2.66458 0.03281 1.38941 -0.4762 0.3125 -0.0762
H -1.50436 -1.19750 -0.14107 -0.0298 -1.1825 -0.7512
H -2.67300 -0.20615 -1.15695 0.1233 -0.6257 -0.7495
H -0.38060 1.30809 2.03084 0.0681 0.4719 -0.2339
H -0.54898 -0.36293 1.89258 0.6342 -0.1630 -0.3022
H -0.07784 -0.07340 -1.86007 0.8213 -0.3729 -1.8050
H -0.74211 1.46501 -1.25158 -0.6782 1.7512 -1.2376
H 1.78278 1.27961 -1.27396 0.4828 1.1245 0.8886
```
Positions in Å, forces in eV/Å.

Output
Multiplicity: 1
Maximum force (eV/Å): 4.6
Total energy (Eh): -671.9479
ΔE to the lowest compared entry with this formula, charge and spin (kcal per mole): 106.0
HOMO-LUMO gap (eV): 8.898

Atomic partial charges in e from the natural (NBO) method, atoms 1 to 4: C -0.48; C -0.17; C -0.37; C -0.42

* * * * *

# 1
DFT (ωB97M-V/def2-TZVPD) results for a molecular structure, C3H3Cl9Cr2O8S2 in a non-equilibrium geometry.

Results
Energy: -210755.048 eV
HOMO-LUMO gap (alpha / beta): 0.2577 / 0.3048 Eh
Total charge: 0
Multiplicity: 9
Energy relative to the best compared isomer or geometry (same formula, charge and spin): 56.21 kcal/mol

Geometry as XYZ:
```
27
C3H3Cl9Cr2O8S2 (ωB97M-V/def2-TZVPD)
Cr -0.7715 -2.8714 -0.7662
Cr 2.4521 -1.2610 -1.7911
S 1.4069 -4.2920 -0.8147
O 2.2477 -3.0985 -1.1802
O 0.5811 -3.9670 0.3858
O 0.2575 -4.3816 -1.7500
O 2.2315 -5.4519 -0.7511
S -0.0087 -0.3388 -0.9986
O 0.2632 -1.4863 -1.8896
O 1.3577 0.1044 -0.6295
O -0.8460 0.6872 -1.5861
O -0.7184 -1.0333 0.0819
C 1.0066 3.1794 -0.8438
Cl 2.3239 2.4871 0.1124
Cl 1.5480 4.1846 -2.1945
Cl -0.1088 4.0664 0.2012
H 0.4343 2.3513 -1.2463
C 0.6646 0.4467 2.6154
Cl -0.0422 1.9898 3.0755
Cl -0.2408 -0.9074 3.2706
Cl 2.3665 0.3226 3.1444
H 0.6680 0.3479 1.5371
C -3.3145 1.7915 0.3344
Cl -3.3253 0.3655 1.3564
Cl -3.1305 3.2497 1.3149
Cl -4.8177 1.8515 -0.6363
H -2.4850 1.6638 -0.3522
```

=====

# 2
DFT (ωB97M-V/def2-TZVPD) results for a molecular structure, C25H46BNP2Re in a non-equilibrium geometry.

Results
Energy: -49527.128 eV
HOMO-LUMO gap (alpha / beta): 0.3095 / 0.2157 Eh
Total charge: +2
Multiplicity: 4
____________
FINALLY. This is the only feature I was really missing from the microsoft app. Can finally put actions on the back paddles which don’t correspond to the face/trigger buttons
What changed is he started becoming more public. He’s always been a shithead. There were mentions of him abusing his employees back when I was in grad school in 2012. People on the internet just fell for his mythos and just kept ignoring signs to the contrary until he just…kept…talking… and couldn’t be ignored anymore.
This is an announcement for s2. Eps 9-12 came out a few hours ago
I thought the anime was quite good - it includes context from the stageplays which aren’t in the game. Buuuut -
the impact of the Copied City just didn’t have the same oomph as in the game
I can’t tell if this is a deliberate propaganda campaign or people are actually this clueless and think incumbent presidents regularly compete in primaries.
Honestly I think it’s both. This type of talking point is easy to sell to the people who whine about The Establishment without putting in a modicum of effort to understand why things are that way
This post is also from Sept 2021
I didn’t call you conservative
I don’t believe as single word you said in your first paragraph
They should do everything they can to stop fighting ASAP including a surrender to the Russian forces if necessary
Go fuck yourself tankie.
Tens of thousands of taxes from any individual or family does not go towards the war supplies being sent to Ukraine. Unless you’re a multimillionaire - which you are not.
I know it’s hip to call Biden a 90’s R because he didn’t pass every policy the left wants with a slim majority, but do you even know what a 90’s Republican is / stood for? Because that’s when the party turned to Newt and I don’t see him doing ANYTHING close to that.